Exercise:
Now quote the whole of the calculation results underneath verbatim.

Source:
# 1
VASP calculation (GGA-PBE) on ZrH9N3F7 after structural relaxation.

The structure in CIF format:
```
data_ZrH9N3F7
_chemical_formula_sum 'Zr4 H36 N12 F28'
_symmetry_space_group_name_H-M 'P 1'
_symmetry_Int_Tables_number 1
_cell_length_a 5.6706
_cell_length_b 10.9277
_cell_length_c 11.0247
_cell_angle_alpha 90.00
_cell_angle_beta 90.00
_cell_angle_gamma 95.09
loop_
_symmetry_equiv_pos_as_xyz
'x,y,z'
loop_
_atom_site_label
_atom_site_fract_x
_atom_site_fract_y
_atom_site_fract_z
_atom_site_occupancy
Zr1 0.0547 0.6266 0.7930 1
Zr2 0.9453 0.3734 0.2930 1
Zr3 0.0047 0.8617 0.5932 1
Zr4 0.9953 0.1383 0.0932 1
H1 0.0039 0.7981 0.3093 1
H2 0.9961 0.2019 0.8093 1
H3 0.7388 0.7510 0.2217 1
H4 0.2612 0.2490 0.7217 1
H5 0.9535 0.6522 0.2656 1
H6 0.0465 0.3478 0.7656 1
H7 0.0677 0.8578 0.1054 1
H8 0.9323 0.1422 0.6054 1
H9 0.0005 0.7120 0.0601 1
H10 0.9995 0.2880 0.5601 1
H11 0.2571 0.7512 0.1522 1
H12 0.7429 0.2488 0.6522 1
H13 0.5020 0.4405 0.8464 1
H14 0.4980 0.5595 0.3464 1
H15 0.7529 0.4221 0.9322 1
H16 0.2471 0.5779 0.4322 1
H17 0.5028 0.3165 0.9421 1
H18 0.4972 0.6835 0.4421 1
H19 0.2826 0.4579 0.0257 1
H20 0.7174 0.5421 0.5257 1
H21 0.5417 0.4626 0.1108 1
H22 0.4583 0.5374 0.6108 1
H23 0.4910 0.5716 0.0016 1
H24 0.5090 0.4284 0.5016 1
H25 0.5664 0.0103 0.2660 1
H26 0.4336 0.9897 0.7660 1
H27 0.4206 0.9234 0.3791 1
H28 0.5794 0.0766 0.8791 1
H29 0.7001 0.0016 0.4065 1
H30 0.2999 0.9984 0.9065 1
H31 0.5354 0.1873 0.4044 1
H32 0.4646 0.8127 0.9044 1
H33 0.2765 0.1156 0.3460 1
H34 0.7235 0.8844 0.8460 1
H35 0.3593 0.0817 0.4913 1
H36 0.6407 0.9183 0.9913 1
N1 0.9325 0.7420 0.2393 1
N2 0.0675 0.2580 0.7393 1
N3 0.0731 0.7662 0.1316 1
N4 0.9269 0.2338 0.6316 1
N5 0.5649 0.4087 0.9293 1
N6 0.4351 0.5913 0.4293 1
N7 0.4656 0.4787 0.0248 1
N8 0.5344 0.5213 0.5248 1
N9 0.5359 0.0022 0.3593 1
N10 0.4641 0.9978 0.8593 1
N11 0.4189 0.1056 0.4033 1
N12 0.5811 0.8944 0.9033 1
F1 0.7800 0.7287 0.7057 1
F2 0.2200 0.2713 0.2057 1
F3 0.1627 0.8224 0.7729 1
F4 0.8373 0.1776 0.2729 1
F5 0.1525 0.6822 0.6051 1
F6 0.8475 0.3178 0.1051 1
F7 0.8312 0.6679 0.9345 1
F8 0.1688 0.3321 0.4345 1
F9 0.3125 0.6819 0.9280 1
F10 0.6875 0.3181 0.4280 1
F11 0.8608 0.4888 0.7022 1
F12 0.1392 0.5112 0.2022 1
F13 0.3461 0.5258 0.7437 1
F14 0.6539 0.4742 0.2437 1
F15 0.0337 0.4663 0.9116 1
F16 0.9663 0.5337 0.4116 1
F17 0.8418 0.9748 0.7088 1
F18 0.1582 0.0252 0.2088 1
F19 0.3086 0.9878 0.6148 1
F20 0.6914 0.0122 0.1148 1
F21 0.7348 0.7926 0.4792 1
F22 0.2652 0.2074 0.9792 1
F23 0.1955 0.8376 0.4279 1
F24 0.8045 0.1624 0.9279 1
F25 0.9290 0.0205 0.4875 1
F26 0.0710 0.9795 0.9875 1
F27 0.4989 0.7513 0.2022 1
F28 0.5011 0.2487 0.7022 1
```

Calculated values
- Calculated formation energy: -1.708 eV per atom
- Space group: P2_1 (4)


# 2
VASP calculation (GGA-PBE) on NdBC after structural relaxation.

The structure in CIF format:
```
data_NdBC
_chemical_formula_sum 'Nd20 B20 C20'
_symmetry_space_group_name_H-M 'P 1'
_symmetry_Int_Tables_number 1
_cell_length_a 8.4536
_cell_length_b 8.4863
_cell_length_c 12.3030
_cell_angle_alpha 90.00
_cell_angle_beta 90.00
_cell_angle_gamma 90.00
loop_
_symmetry_equiv_pos_as_xyz
'x,y,z'
loop_
_atom_site_label
_atom_site_fract_x
_atom_site_fract_y
_atom_site_fract_z
_atom_site_occupancy
Nd1 0.8433 0.0920 0.0965 1
Nd2 0.4515 0.9020 0.1399 1
Nd3 0.2546 0.7115 0.6731 1
Nd4 0.3394 0.0087 0.4202 1
Nd5 0.7454 0.2115 0.8269 1
Nd6 0.5617 0.8013 0.8655 1
Nd7 0.2454 0.2885 0.1731 1
Nd8 0.8394 0.4913 0.5798 1
Nd9 0.4383 0.3013 0.6345 1
Nd10 0.3433 0.4080 0.9035 1
Nd11 0.1567 0.5920 0.4035 1
Nd12 0.9383 0.1987 0.3655 1
Nd13 0.0617 0.6987 0.1345 1
Nd14 0.6567 0.9080 0.5965 1
Nd15 0.0485 0.0980 0.6399 1
Nd16 0.7546 0.7885 0.3269 1
Nd17 0.1606 0.9913 0.9202 1
Nd18 0.5485 0.4020 0.3601 1
Nd19 0.6606 0.5087 0.0798 1
Nd20 0.9515 0.5980 0.8601 1
B1 0.0624 0.2985 0.8210 1
B2 0.5193 0.6107 0.5413 1
B3 0.1166 0.3976 0.7128 1
B4 0.6846 0.1925 0.5088 1
B5 0.4021 0.0235 0.7394 1
B6 0.1846 0.3075 0.4912 1
B7 0.3834 0.6024 0.2128 1
B8 0.4807 0.1107 0.9587 1

Response:
# 1
VASP calculation (GGA-PBE) on ZrH9N3F7 after structural relaxation.

The structure in CIF format:
```
data_ZrH9N3F7
_chemical_formula_sum 'Zr4 H36 N12 F28'
_symmetry_space_group_name_H-M 'P 1'
_symmetry_Int_Tables_number 1
_cell_length_a 5.6706
_cell_length_b 10.9277
_cell_length_c 11.0247
_cell_angle_alpha 90.00
_cell_angle_beta 90.00
_cell_angle_gamma 95.09
loop_
_symmetry_equiv_pos_as_xyz
'x,y,z'
loop_
_atom_site_label
_atom_site_fract_x
_atom_site_fract_y
_atom_site_fract_z
_atom_site_occupancy
Zr1 0.0547 0.6266 0.7930 1
Zr2 0.9453 0.3734 0.2930 1
Zr3 0.0047 0.8617 0.5932 1
Zr4 0.9953 0.1383 0.0932 1
H1 0.0039 0.7981 0.3093 1
H2 0.9961 0.2019 0.8093 1
H3 0.7388 0.7510 0.2217 1
H4 0.2612 0.2490 0.7217 1
H5 0.9535 0.6522 0.2656 1
H6 0.0465 0.3478 0.7656 1
H7 0.0677 0.8578 0.1054 1
H8 0.9323 0.1422 0.6054 1
H9 0.0005 0.7120 0.0601 1
H10 0.9995 0.2880 0.5601 1
H11 0.2571 0.7512 0.1522 1
H12 0.7429 0.2488 0.6522 1
H13 0.5020 0.4405 0.8464 1
H14 0.4980 0.5595 0.3464 1
H15 0.7529 0.4221 0.9322 1
H16 0.2471 0.5779 0.4322 1
H17 0.5028 0.3165 0.9421 1
H18 0.4972 0.6835 0.4421 1
H19 0.2826 0.4579 0.0257 1
H20 0.7174 0.5421 0.5257 1
H21 0.5417 0.4626 0.1108 1
H22 0.4583 0.5374 0.6108 1
H23 0.4910 0.5716 0.0016 1
H24 0.5090 0.4284 0.5016 1
H25 0.5664 0.0103 0.2660 1
H26 0.4336 0.9897 0.7660 1
H27 0.4206 0.9234 0.3791 1
H28 0.5794 0.0766 0.8791 1
H29 0.7001 0.0016 0.4065 1
H30 0.2999 0.9984 0.9065 1
H31 0.5354 0.1873 0.4044 1
H32 0.4646 0.8127 0.9044 1
H33 0.2765 0.1156 0.3460 1
H34 0.7235 0.8844 0.8460 1
H35 0.3593 0.0817 0.4913 1
H36 0.6407 0.9183 0.9913 1
N1 0.9325 0.7420 0.2393 1
N2 0.0675 0.2580 0.7393 1
N3 0.0731 0.7662 0.1316 1
N4 0.9269 0.2338 0.6316 1
N5 0.5649 0.4087 0.9293 1
N6 0.4351 0.5913 0.4293 1
N7 0.4656 0.4787 0.0248 1
N8 0.5344 0.5213 0.5248 1
N9 0.5359 0.0022 0.3593 1
N10 0.4641 0.9978 0.8593 1
N11 0.4189 0.1056 0.4033 1
N12 0.5811 0.8944 0.9033 1
F1 0.7800 0.7287 0.7057 1
F2 0.2200 0.2713 0.2057 1
F3 0.1627 0.8224 0.7729 1
F4 0.8373 0.1776 0.2729 1
F5 0.1525 0.6822 0.6051 1
F6 0.8475 0.3178 0.1051 1
F7 0.8312 0.6679 0.9345 1
F8 0.1688 0.3321 0.4345 1
F9 0.3125 0.6819 0.9280 1
F10 0.6875 0.3181 0.4280 1
F11 0.8608 0.4888 0.7022 1
F12 0.1392 0.5112 0.2022 1
F13 0.3461 0.5258 0.7437 1
F14 0.6539 0.4742 0.2437 1
F15 0.0337 0.4663 0.9116 1
F16 0.9663 0.5337 0.4116 1
F17 0.8418 0.9748 0.7088 1
F18 0.1582 0.0252 0.2088 1
F19 0.3086 0.9878 0.6148 1
F20 0.6914 0.0122 0.1148 1
F21 0.7348 0.7926 0.4792 1
F22 0.2652 0.2074 0.9792 1
F23 0.1955 0.8376 0.4279 1
F24 0.8045 0.1624 0.9279 1
F25 0.9290 0.0205 0.4875 1
F26 0.0710 0.9795 0.9875 1
F27 0.4989 0.7513 0.2022 1
F28 0.5011 0.2487 0.7022 1
```

Calculated values
- Calculated formation energy: -1.708 eV per atom
- Space group: P2_1 (4)


# 2
VASP calculation (GGA-PBE) on NdBC after structural relaxation.

The structure in CIF format:
```
data_NdBC
_chemical_formula_sum 'Nd20 B20 C20'
_symmetry_space_group_name_H-M 'P 1'
_symmetry_Int_Tables_number 1
_cell_length_a 8.4536
_cell_length_b 8.4863
_cell_length_c 12.3030
_cell_angle_alpha 90.00
_cell_angle_beta 90.00
_cell_angle_gamma 90.00
loop_
_symmetry_equiv_pos_as_xyz
'x,y,z'
loop_
_atom_site_label
_atom_site_fract_x
_atom_site_fract_y
_atom_site_fract_z
_atom_site_occupancy
Nd1 0.8433 0.0920 0.0965 1
Nd2 0.4515 0.9020 0.1399 1
Nd3 0.2546 0.7115 0.6731 1
Nd4 0.3394 0.0087 0.4202 1
Nd5 0.7454 0.2115 0.8269 1
Nd6 0.5617 0.8013 0.8655 1
Nd7 0.2454 0.2885 0.1731 1
Nd8 0.8394 0.4913 0.5798 1
Nd9 0.4383 0.3013 0.6345 1
Nd10 0.3433 0.4080 0.9035 1
Nd11 0.1567 0.5920 0.4035 1
Nd12 0.9383 0.1987 0.3655 1
Nd13 0.0617 0.6987 0.1345 1
Nd14 0.6567 0.9080 0.5965 1
Nd15 0.0485 0.0980 0.6399 1
Nd16 0.7546 0.7885 0.3269 1
Nd17 0.1606 0.9913 0.9202 1
Nd18 0.5485 0.4020 0.3601 1
Nd19 0.6606 0.5087 0.0798 1
Nd20 0.9515 0.5980 0.8601 1
B1 0.0624 0.2985 0.8210 1
B2 0.5193 0.6107 0.5413 1
B3 0.1166 0.3976 0.7128 1
B4 0.6846 0.1925 0.5088 1
B5 0.4021 0.0235 0.7394 1
B6 0.1846 0.3075 0.4912 1
B7 0.3834 0.6024 0.2128 1
B8 0.4807 0.1107 0.9587 1